[File]
<<<
Here is a 9-piece molecular cluster, C50H50N8O3 overall in a non-equilibrium geometry from the Open Molecules 2025 dataset. Energies are from the ωB97M-V functional and the def2-TZVPD basis.

XYZ file:
```
111
Properties=species:S:1:pos:R:3:forces:R:3
O -0.4114 -0.9442 1.9122 -2.0387 3.0794 -5.9524
C -0.7292 -0.4315 0.7964 -0.0475 -0.4536 0.1516
O -0.8510 0.9797 0.3955 0.1341 -2.0393 1.4160
C -0.6992 1.1343 -1.0602 2.6942 -0.6832 0.2307
C -0.1273 -0.3299 -1.3674 -1.3330 0.9934 0.1639
C -0.1597 -0.9108 -2.8538 0.0707 -1.9189 0.6918
C 0.6870 -2.2940 -2.8126 1.9739 -2.1084 0.1163
C 0.1104 -3.6763 -3.1709 4.6930 0.7499 1.6228
C 1.1101 -4.9040 -3.0104 0.5577 2.4996 0.7352
C 2.5722 -4.7843 -2.5118 -2.0363 3.1226 -0.3692
C 3.1375 -3.3690 -2.1717 -4.1369 -0.1348 -1.1517
C 2.1708 -2.1653 -2.3316 -0.5873 -2.9013 -0.4444
O -1.0204 -1.0889 -0.4673 1.5698 0.0627 2.2588
H -1.5889 1.5340 -1.6458 0.9172 -0.8252 1.1805
H 0.2281 1.8125 -1.1302 -1.7609 -0.5102 -0.2496
H 0.8485 -0.3535 -0.7717 -0.6631 -0.0715 -1.8111
H -1.2299 -1.2181 -3.1633 1.5379 0.7676 0.7677
H 0.2211 -0.1891 -3.6508 -0.2355 -0.8720 1.3328
H -0.9668 -3.8047 -3.5124 1.7321 0.0993 0.5305
H 0.6714 -5.9376 -3.2468 0.9101 1.7202 0.4076
H 3.2587 -5.6982 -2.3797 -1.4395 1.5436 -0.3314
H 4.2053 -3.1929 -1.7820 -1.9268 -0.4054 -0.7336
H 2.5650 -1.1208 -2.0526 -0.6762 -1.8122 -0.5466
C 3.6347 -4.6838 -8.0301 0.1042 -0.2534 -0.0341
C 2.3110 -4.3041 -8.2028 0.0464 0.0169 0.1308
C 1.6832 -3.6319 -7.1651 0.1399 0.1489 0.4191
N 2.2829 -3.3291 -6.0023 -0.2331 -0.0307 -0.6093
C 3.5496 -3.7067 -5.8659 0.0555 0.1664 0.2981
C 4.2725 -4.3808 -6.8362 -0.1267 -0.0670 -0.2156
H 4.1621 -5.2104 -8.8161 -0.0578 0.1032 0.0742
H 1.7795 -4.5250 -9.1203 0.0166 0.0234 0.0440
H 0.6493 -3.3117 -7.2500 0.0118 -0.0358 -0.0515
H 4.0004 -3.4470 -4.9132 0.0732 -0.0637 -0.0242
H 5.3041 -4.6614 -6.6637 -0.0534 0.0349 0.0035
C 1.3470 2.1952 4.0309 -0.0534 -0.0518 0.0465
C 2.0759 3.3089 4.4227 -0.1103 -0.1579 -0.0423
C 2.9233 3.8964 3.4982 0.2831 -0.0054 -0.5439
N 3.0841 3.4485 2.2430 -0.3847 -0.3222 0.3264
C 2.3679 2.3689 1.8902 0.3062 0.4704 0.1074
C 1.4907 1.7104 2.7379 0.0457 0.0704 0.0323
H 0.6726 1.7081 4.7270 0.0288 0.0148 -0.0527
H 1.9878 3.7119 5.4240 0.0352 0.0221 -0.0650
H 3.5115 4.7709 3.7558 -0.1892 -0.1204 0.1253
H 2.5192 2.0283 0.8702 -0.0328 -0.0430 0.0175
H 0.9336 0.8496 2.3900 0.0887 0.1113 0.1400
C -1.2162 -2.1745 4.8955 0.1398 0.1037 -0.0899
C -0.7922 -3.1164 5.8222 -0.1015 0.0648 -0.0325
C -1.7324 -3.6563 6.6850 -0.5583 0.0646 0.0879
N -3.0322 -3.3186 6.6805 0.5246 0.1981 -0.3879
C -3.4161 -2.4030 5.7745 -0.1659 -0.4133 0.4583
C -2.5538 -1.8080 4.8670 0.2016 -0.0900 0.0565
H -0.5109 -1.7299 4.2024 -0.0797 -0.0493 0.0328
H 0.2448 -3.4247 5.8728 -0.0525 -0.0020 0.0080
H -1.4503 -4.3986 7.4250 0.0551 0.0184 -0.0317
H -4.4709 -2.1461 5.7933 0.1620 0.1009 -0.0971
H -2.9187 -1.0765 4.1567 -0.0098 -0.0429 0.0371
C 4.5224 1.4729 -5.9724 -0.0177 0.0089 -0.0566
C 5.0364 2.3468 -5.0249 -0.0476 -0.0978 -0.0862
C 5.1733 1.8947 -3.7223 -0.0937 -0.4476 0.3239
N 4.8339 0.6592 -3.3206 -0.1161 0.2001 -0.6058
C 4.3376 -0.1654 -4.2568 0.2271 0.1650 0.4647
C 4.1651 0.1894 -5.5850 0.0338 0.1548 -0.0993
H 4.4011 1.7893 -7.0029 0.0114 -0.0159 0.0598
H 5.3245 3.3560 -5.2920 -0.0008 -0.0465 0.0437
H 5.5732 2.5394 -2.9463 -0.0132 0.0266 -0.0600
H 4.0699 -1.1560 -3.9044 -0.0195 0.0255 -0.1386
H 3.7612 -0.5193 -6.2978 -0.0023 -0.0249 0.0878
C -9.3244 -1.0744 5.3849 -0.1728 -0.0857 -0.1336
C -8.5543 0.0335 5.0626 0.0236 -0.1477 0.0219
C -7.1755 -0.0922 5.1059 0.3467 -0.3752 0.1310
N -6.5382 -1.2246 5.4457 -0.7888 0.0693 -0.0397
C -7.3071 -2.2807 5.7545 0.4587 0.3341 -0.0706
C -8.6924 -2.2579 5.7378 -0.0131 0.1770 -0.0509
H -10.4061 -1.0161 5.3618 0.1189 0.0147 0.0481
H -9.0145 0.9733 4.7839 0.0398 -0.0355 0.0195
H -6.5302 0.7450 4.8594 -0.0576 0.0120 0.0014
H -6.7663 -3.1819 6.0275 -0.0454 -0.0090 0.0017
H -9.2626 -3.1420 5.9947 0.0504 0.0260 -0.0166
C 5.7122 -0.8162 -11.6934 0.0203 0.0793 -0.0494
>>>
[To do]
The reader should type out all of the calculation results further up word for word.
[Response]
Here is a 9-piece molecular cluster, C50H50N8O3 overall in a non-equilibrium geometry from the Open Molecules 2025 dataset. Energies are from the ωB97M-V functional and the def2-TZVPD basis.

XYZ file:
```
111
Properties=species:S:1:pos:R:3:forces:R:3
O -0.4114 -0.9442 1.9122 -2.0387 3.0794 -5.9524
C -0.7292 -0.4315 0.7964 -0.0475 -0.4536 0.1516
O -0.8510 0.9797 0.3955 0.1341 -2.0393 1.4160
C -0.6992 1.1343 -1.0602 2.6942 -0.6832 0.2307
C -0.1273 -0.3299 -1.3674 -1.3330 0.9934 0.1639
C -0.1597 -0.9108 -2.8538 0.0707 -1.9189 0.6918
C 0.6870 -2.2940 -2.8126 1.9739 -2.1084 0.1163
C 0.1104 -3.6763 -3.1709 4.6930 0.7499 1.6228
C 1.1101 -4.9040 -3.0104 0.5577 2.4996 0.7352
C 2.5722 -4.7843 -2.5118 -2.0363 3.1226 -0.3692
C 3.1375 -3.3690 -2.1717 -4.1369 -0.1348 -1.1517
C 2.1708 -2.1653 -2.3316 -0.5873 -2.9013 -0.4444
O -1.0204 -1.0889 -0.4673 1.5698 0.0627 2.2588
H -1.5889 1.5340 -1.6458 0.9172 -0.8252 1.1805
H 0.2281 1.8125 -1.1302 -1.7609 -0.5102 -0.2496
H 0.8485 -0.3535 -0.7717 -0.6631 -0.0715 -1.8111
H -1.2299 -1.2181 -3.1633 1.5379 0.7676 0.7677
H 0.2211 -0.1891 -3.6508 -0.2355 -0.8720 1.3328
H -0.9668 -3.8047 -3.5124 1.7321 0.0993 0.5305
H 0.6714 -5.9376 -3.2468 0.9101 1.7202 0.4076
H 3.2587 -5.6982 -2.3797 -1.4395 1.5436 -0.3314
H 4.2053 -3.1929 -1.7820 -1.9268 -0.4054 -0.7336
H 2.5650 -1.1208 -2.0526 -0.6762 -1.8122 -0.5466
C 3.6347 -4.6838 -8.0301 0.1042 -0.2534 -0.0341
C 2.3110 -4.3041 -8.2028 0.0464 0.0169 0.1308
C 1.6832 -3.6319 -7.1651 0.1399 0.1489 0.4191
N 2.2829 -3.3291 -6.0023 -0.2331 -0.0307 -0.6093
C 3.5496 -3.7067 -5.8659 0.0555 0.1664 0.2981
C 4.2725 -4.3808 -6.8362 -0.1267 -0.0670 -0.2156
H 4.1621 -5.2104 -8.8161 -0.0578 0.1032 0.0742
H 1.7795 -4.5250 -9.1203 0.0166 0.0234 0.0440
H 0.6493 -3.3117 -7.2500 0.0118 -0.0358 -0.0515
H 4.0004 -3.4470 -4.9132 0.0732 -0.0637 -0.0242
H 5.3041 -4.6614 -6.6637 -0.0534 0.0349 0.0035
C 1.3470 2.1952 4.0309 -0.0534 -0.0518 0.0465
C 2.0759 3.3089 4.4227 -0.1103 -0.1579 -0.0423
C 2.9233 3.8964 3.4982 0.2831 -0.0054 -0.5439
N 3.0841 3.4485 2.2430 -0.3847 -0.3222 0.3264
C 2.3679 2.3689 1.8902 0.3062 0.4704 0.1074
C 1.4907 1.7104 2.7379 0.0457 0.0704 0.0323
H 0.6726 1.7081 4.7270 0.0288 0.0148 -0.0527
H 1.9878 3.7119 5.4240 0.0352 0.0221 -0.0650
H 3.5115 4.7709 3.7558 -0.1892 -0.1204 0.1253
H 2.5192 2.0283 0.8702 -0.0328 -0.0430 0.0175
H 0.9336 0.8496 2.3900 0.0887 0.1113 0.1400
C -1.2162 -2.1745 4.8955 0.1398 0.1037 -0.0899
C -0.7922 -3.1164 5.8222 -0.1015 0.0648 -0.0325
C -1.7324 -3.6563 6.6850 -0.5583 0.0646 0.0879
N -3.0322 -3.3186 6.6805 0.5246 0.1981 -0.3879
C -3.4161 -2.4030 5.7745 -0.1659 -0.4133 0.4583
C -2.5538 -1.8080 4.8670 0.2016 -0.0900 0.0565
H -0.5109 -1.7299 4.2024 -0.0797 -0.0493 0.0328
H 0.2448 -3.4247 5.8728 -0.0525 -0.0020 0.0080
H -1.4503 -4.3986 7.4250 0.0551 0.0184 -0.0317
H -4.4709 -2.1461 5.7933 0.1620 0.1009 -0.0971
H -2.9187 -1.0765 4.1567 -0.0098 -0.0429 0.0371
C 4.5224 1.4729 -5.9724 -0.0177 0.0089 -0.0566
C 5.0364 2.3468 -5.0249 -0.0476 -0.0978 -0.0862
C 5.1733 1.8947 -3.7223 -0.0937 -0.4476 0.3239
N 4.8339 0.6592 -3.3206 -0.1161 0.2001 -0.6058
C 4.3376 -0.1654 -4.2568 0.2271 0.1650 0.4647
C 4.1651 0.1894 -5.5850 0.0338 0.1548 -0.0993
H 4.4011 1.7893 -7.0029 0.0114 -0.0159 0.0598
H 5.3245 3.3560 -5.2920 -0.0008 -0.0465 0.0437
H 5.5732 2.5394 -2.9463 -0.0132 0.0266 -0.0600
H 4.0699 -1.1560 -3.9044 -0.0195 0.0255 -0.1386
H 3.7612 -0.5193 -6.2978 -0.0023 -0.0249 0.0878
C -9.3244 -1.0744 5.3849 -0.1728 -0.0857 -0.1336
C -8.5543 0.0335 5.0626 0.0236 -0.1477 0.0219
C -7.1755 -0.0922 5.1059 0.3467 -0.3752 0.1310
N -6.5382 -1.2246 5.4457 -0.7888 0.0693 -0.0397
C -7.3071 -2.2807 5.7545 0.4587 0.3341 -0.0706
C -8.6924 -2.2579 5.7378 -0.0131 0.1770 -0.0509
H -10.4061 -1.0161 5.3618 0.1189 0.0147 0.0481
H -9.0145 0.9733 4.7839 0.0398 -0.0355 0.0195
H -6.5302 0.7450 4.8594 -0.0576 0.0120 0.0014
H -6.7663 -3.1819 6.0275 -0.0454 -0.0090 0.0017
H -9.2626 -3.1420 5.9947 0.0504 0.0260 -0.0166
C 5.7122 -0.8162 -11.6934 0.0203 0.0793 -0.0494